Adultery Diet



  • porterbaby38
    porterbaby38 Posts: 1,401
    i've been there too. long time ago in 1996. i was married a man who cheated on me, when we were together and when we were married. we didn't have any kids, because i miscarried twice. when he left me i really didn't eat at all and i lost almost 35 to 40 lbs. i eventually gained it back though.
  • Mommabee
    Mommabee Posts: 103
    YAY!!!! You go and you have a GOOOD time!!!! Keep us posted!
  • sabes2631
    sabes2631 Posts: 403
    im home. it sucked.
    i felt super old. so we went to the next place and all along i saw people that he knows an dworst of all is one of them can barely say hello becuz i think he knew.
    I am home in my robe with my dog back under the covers.
    I miss my life and my husband.
    i dont want to have to go out and meet anyone. I dont want anyone else.
  • Iceprincessk25
    Iceprincessk25 Posts: 1,888 Member
    im home. it sucked.
    i felt super old. so we went to the next place and all along i saw people that he knows an dworst of all is one of them can barely say hello becuz i think he knew.
    I am home in my robe with my dog back under the covers.
    I miss my life and my husband.
    i dont want to have to go out and meet anyone. I dont want anyone else.

    Yup.....that's pretty much how I felt when I went out with my sister. I felt WAAAY older than everyone. Getting back out into the dating world was such a daunting thought so all I wanted to do was stay home and watch my sex in the city. I didn't have my doggie then and I am sure he would've been such a comfort so I am glad you have your dog.

    There's nothing really to say that will make you feel better. Time is the only thing that helps. MANY a time I wished there was a fast forward button for my life so I could get to the part where it didn't hurt as much.
  • weaklink109
    weaklink109 Posts: 2,831 Member
    You don't HAVE to do anything right now except take care of you. It would not be fair to you or to the other person for you to rush out and "meet" someone. You are very vulnerable now. You can still socialize with your friends. You learned something tonight. You are not comfortable right now going out and doing the party scene. There are still plenty of other things you can do to keep your state of mind moving toward the positive. You don't have to have a man in your life to be a complete person.

    There is a process you have to go through to be ready to accept moving on. It is more difficult when you had the rug pulled out from you. The easy thing to do is withdraw and say "I want things to be as they were." Adopting this philosophy is not going to help your mental health in the long run.

    I could write a book on coping in such situations, but everyone's experience is a little different. I know it seems impossible to you right now, but it will get better. Just don't give up on YOU. You are still a valuable, intelligent person, and you deserve to have good things happen to you. Don't let the actions of another destroy your confidence in yourself and your ability to build a good life for yourself.

    Tomorrow is another day. Meet it with your head held high. If weather permits, take that sweet doggie for a walk. Make something healthy for breakfast. Curl up with the doggie and read the paper. Meet a friend for coffee. These are just some suggestions. I hope you have a good Sunday.

    Keep posting. We are all pulling for you.
  • arewethereyet
    arewethereyet Posts: 18,702 Member
    As a woman who is with the same man since I was 21 years old, I cannot imagine what you must feel. I had a DREAM I caught him cheating one time and awoke to punch him in the chest! I couldn't even look at him for a week.............and it was a freaking dream!

    All I can say is that I am very proud of you for seeking help in whatever venue you have available to you. It is hard to talk to friends and family because they love you too much.

    So here you can call him anything you want..........well with ^*$#% anyway! We will listen.

    I am simply amazed that you did the disney run! You should feel pride and love for yourself for doing this.


  • cmriverside
    cmriverside Posts: 34,104 Member
    Good morning sabe.

    Sorry about the whole "bar scene" thing. I am so old that if they carded me they would say, "Sorry, but we're full....." :laugh:

    NO worries. The men will be there .......later. I hope you will give yourself a long time to sort this through before trying another relationship, and it really isn't fair to another man to get involved when you are still married or even while you are still angry.

    Flirting is fun. But "wanting anyone else" - as you said - needs to take at least a year as weaklink said. Get through the breakup first.

    Maybe find a book club or a running group or join a ZUMBA class. Dancing at ZUMBA will heal your spirit. The music will grab you and the exercise will lift you up.

    Good morning to your pup, too. :flowerforyou:
  • ltlhmom
    ltlhmom Posts: 1,202 Member
    All i can say is keep your chin up! Baby steps! You will get through this!!! HUGS!
  • hglewis
    hglewis Posts: 11
    I applaud you for attempting to turn a negative into a positive by bettering yourself. I recently broke up with a woman that I know was my soul mate...I am certain that she is an angel with one wing and I am an angel with one wing and only together could we fly. Anyway, she decided that she wasn't ready for an intense relationship so she let me go and I tell you I have never felt such raw and unmitigated pain in my life. It would be easy to hit the bars and numb the pain with cheap booze and cheaper women, but I have decided to take the high road and get in the best possible shape of my life. I guess subconsciously I think that I might get her back if I get more ripped and more tanned, but realistically I know it's over. The only solace I have now is that for every pound of fat I lose, for every pound of muscle I gain and for every shade darker I get in the tanning booth I know that I am not only making my body healthier but my heart as well. Keep your chin up and keep on keeping on. BTW I see you like to tan at your gym. Banana Boat has just put out a dry oil spray tan accelerant that is working pretty well for me. I found it at Target and it has really given me a nice and deep bronzed tone.
  • kellysmithboise
    I went through this as well and like you I ran a marathon exactly a year after my divorce. Running and training for a race like that must show you by now that you can do anything you put your mind to-- and that includes getting through this devastating experience. I can speak from experience that it does get better. Focus on yourself and your children (if you have any) your friends and your loved ones. You didn't make your husband cheat, his lack of character did! Believe in yourself and look forward.
    Not sure if you are trying to make your marriage work or if you are getting divorced but one thing is for sure: Good things await you!
    I never thought I would find happiness again. But today I am happier and healthier than I have ever been. I wouldn't trade the hard times I have lived through for anything. They brought me to a better place.
  • sabes2631
    sabes2631 Posts: 403
    Thank you. I know in the end I will be stronger. My spirit is broken, but my will is not. I am in limbo still between fighting for my marriage and letting go. I think that my gut says let go - he isnt mine anymore. And my tenacity and stubborness is making me say wait - I need you back first so then I can make the choice. I feel like we owe it another shot.
    He said he still wants the divorce, but is willing to continue to see our therapist before he signs the papers (i served him) - he said his feelings had changed so much overthe time that our marriage was souring that he sees no future for us as a married couple.
    But he met me at churchthis morning. Then we grabbed a bite to eat. Then sat in the car and talked - in which I was saying the for better or worse means you dont bail. Our relationship as it was is dead. We would have to start a new one. I cried. I told him to come home. I really am pathetic. But he is my husband and I am his wife dammit. He doesnt know what he wants from all of this. Just insists that he does not have the desire to try to make it work.
    The therapist thinks he is running form something that he will have to face inside himself if he should decide that he wants to make this work.
    Of course he is not in love with me, otherwise he wouldnt have had an affair. Duh. But it doesnt mean it is gone forever. I am still the same person who he said I DO to 17 months ago - actually a better, stronger person because of this and some things i have discovered about myself.
    Following this journey together, he will learn about himself as well.
    Couples get through this. I need to know that I did everything I possibly could for this marriage.
    Last night sucked. I wasnt looking for "someone" i was just wanting to be out and feel good about myself. I hate the bar scene, but my single girlfriends are entertaining. LOL
    I am fighting for my marriage. But I am also realistic.

    This is day 30 for me on finding out about him.
    At some point I will be ready for my Day 1 for me. I am just not there yet.
    I will be though,
  • weaklink109
    weaklink109 Posts: 2,831 Member

    So glad you posted today. You sounded so much better than after you came in from your night out. It sounds like your survivor spirit is coming to the forefront and that will help you, whatever the outcome of your situation turns out to be. The therapy will help, too--no matter which way things turn out.

    I will keep you in my prayers.:flowerforyou:
  • ERnurse
    ERnurse Posts: 77
    You look amazing in your pic - I am so sorry to hear of what you are dealing with - and I think it is horribly sad that so many others are going through it too :(
  • mmtiernan
    mmtiernan Posts: 702 Member
    I went through the same thing when I was 6 months pregnant. Now 25 years later, he has passed away from alcholism. I can look back at my wrongs in the marriage and his. It all hurt so much and I was so confused.

    Two suggestions: Do not beat yourself with this. His adultery really has nothing to do with you. it is his problem and his choice.
    There is nothing you did or did not do to cause this.

    Believe it or not, this is also my story - he cheated when I first got pregnant. Decided that he suddenly didn't want to be a father and as my body changed during pregnancy, he didn't want me, either. He went through two more wives after I divorced him and ended up dying nearly 3 years ago from a heart attack brought on by extreme alcholism, smoking and a constant diet of fast food.

    I had the same thought you did - that I needed to be sure that I had done everything possible to save the marriage. I stayed for a year and it was the longest, loneliest year of my life. It was so hard - none of our friends would talk to me any more. My mother in law had passed away, but my father in law told me that it was my fault because it was 'the woman's job to keep the marriage together' (he has since apologized, remarkably). If it weren't for my therapist, I don't know how I would have come out the other side intact. In fact, therapy was far and away the smartest thing that I did for myself - it was such a relief to have someone to talk to who was not intimately involved in the situation and could help me work through it objectively.

    However - the quotes above are absolutely right: There is NOTHING that you did or did not do to cause this! It is HIS problem, and not yours!

    One day, you will decide to rise up from this - and you will rise up with your power, your confidence and your dignity intact. You will be able to plan your life beyond him and you will celebrate yourself once again. Have faith in yourself.

    We are all here for you!
  • arewethereyet
    arewethereyet Posts: 18,702 Member
    This thread has reminded me of a conversation with my since deceased mother. I remember one day telling her I was going to leave my husband.

    She asked:

    'Did he hit you?"

    "Did he cheat?"

## Someone pasted data records at this point
+++
i:
Below is an isolated molecule of C18H26N2O4S, with properties calculated with the ωB97M-V functional and the def2-TZVPD basis.

Element x y z (Å)
C  -6.56843  -2.43356  1.00638
H  -6.39821  -3.17458  1.78379
H  -6.43728  -2.91435  0.03960
H  -7.59646  -2.08732  1.08069
C  -5.59850  -1.26590  1.15761
C  -4.14650  -1.74046  1.06879
C  -3.18881  -0.55733  1.17696
N  -3.48689  0.40023  0.13467
S  -2.27801  1.54148  -0.06527
O  -2.76431  2.53982  -0.97054
O  -1.73899  1.97260  1.19705
C  -1.04240  0.54650  -0.89728
C  0.15219  0.28013  -0.26139
C  1.10496  -0.50670  -0.90197
C  0.81898  -1.02257  -2.16386
C  -0.38090  -0.73859  -2.79365
C  -1.32143  0.05638  -2.15829
H  -2.26549  0.30502  -2.61520
H  -0.58288  -1.13873  -3.77543
H  1.55843  -1.65178  -2.63652
C  2.41608  -0.86947  -0.27635
O  2.99161  -1.90574  -0.54963
N  2.89909  0.03514  0.60392
H  2.42749  0.91724  0.72185
C  4.15687  -0.14517  1.28429
H  4.43188  -1.19598  1.17675
C  5.27459  0.75044  0.70654
H  4.93645  1.79335  0.72006
C  5.71952  0.28888  -0.68298
H  6.18829  1.11699  -1.21524
C  6.74965  -0.78908  -0.34270
H  6.26334  -1.76045  -0.26243
C  7.29371  -0.33542  1.02100
H  8.29402  0.10199  0.94036
O  6.42984  0.68084  1.51449
H  7.33421  -1.16173  1.73972
H  7.53743  -0.85929  -1.08898
H  4.89296  -0.09593  -1.27445
H  4.03910  0.08915  2.34611
H  0.29202  0.67802  0.73247
C  -4.83133  0.93288  0.23159
C  -5.83477  -0.20558  0.07975
H  -5.71384  -0.65908  -0.90533
H  -6.84714  0.19368  0.15484
H  -4.93630  1.67153  -0.56360
H  -4.97949  1.43607  1.19919
H  -2.15501  -0.88189  1.03876
H  -3.27174  -0.08631  2.16752
H  -3.98736  -2.23602  0.10938
H  -3.92998  -2.45369  1.86544
H  -5.75371  -0.80401  2.13940

Calculated values
SMILES: CC1CCN(S(=O)(=O)c2cccc(C(=O)NC[C@@H]3CCCO3)c2)CC1
HOMO energy: -9.4 eV
E_LUMO: 0.309 eV

=====

ii:
Below is an isolated molecule of C18H26N2O4S, with properties calculated with the ωB97M-V functional and the def2-TZVPD basis.

Element x y z (Å)
C  -6.91065  -2.06316  -1.06154
H  -7.83958  -2.46462  -0.65935
O  -6.39201  -1.22788  -0.05379
C  -5.22688  -0.56815  -0.28321
C  -4.47980  -0.67257  -1.45152
C  -3.30090  0.04446  -1.58696
C  -2.87678  0.85724  -0.55940
C  -3.61262  0.96981  0.60755
C  -4.79010  0.26566  0.76573
C  -5.61372  0.36367  2.01033
H  -6.61444  0.71687  1.76769
H  -5.72018  -0.61893  2.46717
H  -5.15584  1.04425  2.72169
H  -3.24924  1.62459  1.38340
S  -1.36116  1.79138  -0.70034
O  -0.77575  1.51484  -1.98394
O  -1.61227  3.15731  -0.34644
N  -0.49507  1.09981  0.56402
C  0.04351  -0.20307  0.24892
C  1.37944  -0.12060  -0.49117
H  1.75958  -1.12777  -0.67381
H  1.21488  0.36999  -1.45153
C  2.37331  0.70996  0.33023
C  3.69068  0.82218  -0.43117
O  3.93244  1.74178  -1.18924
N  4.57909  -0.17676  -0.24317
C  4.49414  -1.29459  0.67645
C  5.71839  -2.14626  0.33843
H  6.06384  -2.72665  1.19152
C  6.73438  -1.10756  -0.13084
C  5.86506  -0.14128  -0.92580
H  6.24149  0.88296  -0.94362
H  5.74008  -0.47515  -1.96202
+++
## So much for the data records

    "Is he drinking"

    "Did he spend his paycheck and not pay the bills?"

    " Did he not come home after work every night?"

    I said no to the all of the above. Her response was:

    "The next one MIGHT!"

    Just something on my mind. My heart hurts for you today. I do not even know any of you, but my heart hurts. :tear:
  • arewethereyet
    arewethereyet Posts: 18,702 Member
    Thank you. I know in the end I will be stronger. My spirit is broken, but my will is not. I am in limbo still between fighting for my marriage and letting go. I think that my gut says let go - he isnt mine anymore. And my tenacity and stubborness is making me say wait - I need you back first so then I can make the choice.

    Not for nothing but I had a friend do this 24 years ago and she is still fighting Herpes. :ohwell:

    I say YOU are worth moving on with your life. :heart:
  • chilli
    chilli Posts: 211 Member
    I see so many have gone through the same, just as I have. I hope all these replies will give you strength.
    You will get better, it just takes time. I used to survive on practically fresh air, adrenalin and alcohol. Wasn't much of me to start with and a lot less after few weeks but my body sorted itself out in the end. Adulterers suck but the hurt survive and are stronger for it.
    Just remember you are far better than them and can rise above this.

    :flowerforyou: :flowerforyou:
  • sabes2631
    sabes2631 Posts: 403
    i feel better right now. i live in the now. i am more than so profoundly grateful for all of you on this board. sharing stories to let me know i will survive and i am handling this like i should...
    i feel at this moment that i have moved from processing to dealing...

    it is a step into a new phase i think.
    who knows what tomorrow will bring.
    but i think i have turned a little corner.....
  • weaklink109
    weaklink109 Posts: 2,831 Member

    I think you are on the right track, and showing great self awareness. We are all pulling for you.
  • katiep79
    Stay strong friend! It is a horrible experience and until you have lived it you really have no idea how hard it truly is:(

    I am so sorry for you and know that things will get better. I had a friend tell know in one year you are not going to feel this way, this time next year you will be ok. WOW, that sounded so far away but, almost 4 years to the day I AM OK! Remarried this past June and happier than ever!!

    I happened to do will with the adultery diet as well.....but I have been on the Happy and in love diet and now I am "fluffy" again :(

    Wishing you all the best and healing thoughts your way!